The novel, Cry, The Beloved Country, is set in South Africa in the 1940’s after the English who were in power departed. Alan Paton, a South African, writes this novel about the occurrences of the post-colonial period. It is clear in his book that he agrees with the post-colonial theorist Edward Said. Said, in his essay, Culture and Imperialism, writes that the nation of “Africa [is] politically independent but in many ways [is as] dominated and dependent as [it was] when ruled directly by European powers.” (369) In the novel, the main character, Stephen Kumalo sets out to bring his sister and his son back to his village from Johannesburg. To get to Johannesburg, Kumalo has to take a train. “Kumalo climbed into the carriage for non-Europeans, already full of the humbler people of his race.” (Paton, 43) There was still a separation between the native Africans and the Europeans even though the Europeans were not the rulers any longer. Also the mention of the “humbler people” gives the reader the impression that the Africans were still viewed as inferior to the non-Africans. A sense of dominance by the Europeans was still in place.
Another instance in which this is seen is when Kumalo asks his brother John to phone the textile factory where Kumalo’s son was last known to be working. John laughs at this request and says, “what for…to ask if Absalom Kumalo is working there…they do not do such things for a black man my brother.” (Paton, 70) The Africans were seen as lower than the white men and did not have the same privileges that the white men had. Even though the Europeans were not in charge, the native Africans did not get the rights they deserved. Edward Said wrote, “ independence was for whites and Europeans; the lesser or subject peoples were to be ruled.” (374) This statement clearly describes the situation occurring in South Africa in the 1940’s.
(Between two parts of the entry: records of crystals)
SeBr | meta-GGA r2SCAN | relaxed

- Uncorrected energy: -222.23 eV for the cell shown
- Formation energy: -0.10 eV/atom
- M_tot: 0.00 μB per formula unit
- Space group: P2_1/c, No. 14

Cell lengths 5.0521, 7.4896, 14.7887 Å; angles 90.00, 90.00, 95.71 degrees
Last column: nearest neighbours and their distance in Å.
Atoms (fractional coordinates):
Se 0.0828 0.3881 0.1349  1 Se 2.22, 1 Br 2.41
Se 0.4172 0.6119 0.6349  1 Se 2.22, 1 Br 2.41
Se 0.9172 0.6119 0.8651  1 Se 2.22, 1 Br 2.41
Se 0.5828 0.3881 0.3651  1 Se 2.22, 1 Br 2.41
Se 0.8222 0.2078 0.0456  1 Se 2.22, 1 Br 2.42
Se 0.6778 0.7922 0.5456  1 Se 2.22, 1 Br 2.42
Se 0.1778 0.7922 0.9544  1 Se 2.22, 1 Br 2.42
Se 0.3222 0.2078 0.4544  1 Se 2.22, 1 Br 2.42
Br 0.8677 0.6602 0.1453  1 Se 2.41
Br 0.6323 0.3398 0.6453  1 Se 2.41
Br 0.1323 0.3398 0.8547  1 Se 2.41
Br 0.3677 0.6602 0.3547  1 Se 2.41
Br 0.4997 0.0457 0.1440  1 Se 2.42
Br 0.0003 0.9543 0.6440  1 Se 2.42
Br 0.5003 0.9543 0.8560  1 Se 2.42
Br 0.9997 0.0457 0.3560  1 Se 2.42

=====

LiGaAu2 | meta-GGA r2SCAN | relaxed

- Uncorrected energy: -116.77 eV for the cell shown
- Formation energy: -0.44 eV/atom
- M_tot: 0.00 μB per formula unit
- Space group: Fm-3m, No. 225

Cell lengths 4.4363, 4.4363, 4.4363 Å; angles 60.00, 60.00, 60.00 degrees
Last column: nearest neighbours and their distance in Å.
Atoms (fractional coordinates):
Li 0.7500 0.7500 0.7500  8 Au 2.72
Ga 0.2500 0.2500 0.2500  8 Au 2.72
Au 0.5000 0.5000 0.5000  4 Li 2.72, 4 Ga 2.72
Au 0.0000 0.0000 0.0000  4 Li 2.72, 4 Ga 2.72

=====

K2MoO4 | meta-GGA r2SCAN | relaxed

- Uncorrected energy: -156.24 eV for the cell shown
- Formation energy: -2.30 eV/atom
- M_tot: 0.00 μB per formula unit
- Space group: C2/m, No. 12

Cell lengths 6.0384, 6.8684, 7.5069 Å; angles 112.83, 90.00, 116.08 degrees
Last column: nearest neighbours and their distance in Å.
Atoms (fractional coordinates):
K 0.5093 0.0187 0.2346  6 O 2.69-2.88
K 0.4907 0.9813 0.7654  6 O 2.69-2.88
K 0.1552 0.3104 0.7489  6 O 2.66-2.91
K 0.8448 0.6896 0.2511  6 O 2.66-2.91
Mo 0.1757 0.3514 0.2260  4 O 1.77
Mo 0.8243 0.6486 0.7740  4 O 1.77
O 0.3812 0.2849 0.0754  1 Mo 1.77
O 0.0963 0.7151 0.9246  1 Mo 1.77
O 0.6188 0.7151 0.9246  1 Mo 1.77
O 0.9037 0.2849 0.0754  1 Mo 1.77
O 0.9121 0.8241 0.6395  1 Mo 1.77
O 0.0879 0.1759 0.3605  1 Mo 1.77
O 0.3321 0.6643 0.3821  1 Mo 1.77
O 0.6679 0.3357 0.6179  1 Mo 1.77

=====

(1)
## LiNiPO4 (PBE+U)

Data for LiNiPO4 after structural relaxation.

a = 5.5600 Å, b = 7.9303 Å, c = 5.7896 Å
α = 90.00°, β = 90.00°, γ = 90.00°
Element x y z (fractional)
Li: 0.0000 0.0000 0.0000
Li: 0.5000 0.5000 0.5000
Li: 0.5000 0.0000 0.0000
Li: 0.0000 0.5000 0.5000
Ni: 0.2500 0.7500 0.7500
Ni: 0.2500 0.7500 0.2500
Ni: 0.7500 0.2500 0.2500
Ni: 0.7500 0.2500 0.7500
P: 0.2500 0.1203 0.5000
P: 0.7500 0.6203 0.0000
P: 0.2500 0.3797 0.0000
P: 0.7500 0.8797 0.5000
O: 0.2500 0.0116 0.2770
O: 0.7500 0.5116 0.7770
O: 0.2500 0.4884 0.7770
O: 0.7500 0.9884 0.2770
O: 0.2500 0.0116 0.7230
O: 0.7500 0.5116 0.2230
(The records of crystals stop here)
The white men’s fear of the Africans is apparent in this book. Policemen were at a rally where John is telling the crowd that Africans should get an equal share of the money for the work that they do for the white men. The policemen think to themselves, “what if…the people rise…with thoughts of power and of Africa awakening from sleep.” (Paton, 218) Even though the Africans were the majority they had not awoken from their slave mentality. They had not yet realized that if they united together then they would gain the power to overthrow these “rules” that keep them at a lower level in society. As Paton writes, “[the white men] fear not only the loss of our possessions, but the loss of our superiority and the loss of our whiteness.” (110) The European men were terrified at the prospect that they would lose their dominance over the Africans.
Even though the British rulers physically left the country and no longer claimed South Africa as their own, they left behind a mentality which did not allow South Africa to progress and the natives to form a nation of their own. This point was expressed by Said when he wrote, “[the English] continued to rule…intellectually.” (374) The book, Cry, The Beloved Country, clearly depicts the challenges of a post-colonial society.
good--one could make a strong comparison between the depiction here (which is pre-apartheid) and Disgrace (which takes place after). I'm also interested how the book (which was written by a white South African) portrays black South Africans--and whether we might find evidence of some of the similar essentializing traps that Achebe felt Conrad succumbed to, just positive (romantic) rather than negative (animalistic). That is, the image of Africa as idealized might, on occasion, share some of the dangers of more obviously negative images of the same place.